What is needed: transcribe the lines further down from the one with "2.459" to the one with "-2.949 1.110" without altering anything.

-- begin --
22
Properties=species:S:1:pos:R:3 method="wB97M-V/def2-TZVPD" smiles="CC(C)[N@H+](C)[C@@H](Br)C=S" homo_energy_ev=-13.08 orbital_gap_ev=8.2 charge=+1 e_above_lowest_kcal_mol=26.4
C -0.025 -1.135 1.251
C -0.103 -0.718 -0.247
C 1.106 -1.111 -1.016
N -0.458 0.791 -0.391
C 0.574 1.704 0.326
C -1.892 1.017 0.154
Br -2.699 2.855 -0.188
C -2.814 -0.004 -0.477
S -3.528 -1.167 0.369
H 0.951 -0.758 1.597
H -0.876 -0.810 1.726
H 0.002 -2.203 1.129
H -0.956 -1.282 -0.743
H 2.080 -0.767 -0.719
H 1.158 -0.727 -2.052
H 1.176 -2.111 -1.084
H -0.273 0.851 -1.438
H 0.345 2.694 0.014
H 0.382 1.572 1.443
H 1.587 1.572 -0.031
H -1.877 0.958 1.202
H -3.025 0.232 -1.491

27
Properties=species:S:1:pos:R:3 method="wB97M-V/def2-TZVPD" multiplicity=6 s2=8.77 homo_energy_ev="-15.89 / -13.45" orbital_gap_ev="8.4 / 2.6" charge=+2
O -2.541 2.261 -1.382
C -1.673 1.899 -2.051
Cl -0.312 3.013 -2.507
C -1.667 0.426 -2.549
P -1.256 -0.695 -0.999
C -0.812 -1.729 0.568
C -0.743 -0.913 1.904
C 0.191 0.341 1.915
C 1.722 0.048 1.942
S 2.462 -0.046 0.295
O 2.287 -1.307 -0.354
O 2.075 1.121 -0.533
Cl 4.493 0.146 0.590
H -2.609 0.131 -3.049
H -0.823 0.287 -3.263
H -1.159 -1.839 -1.853
H -2.525 -0.361 -0.441
H -0.062 0.077 -0.875
H -1.657 -2.451 0.691
H 0.088 -2.361 0.405
H -1.779 -0.560 2.120
H -0.498 -1.601 2.747
H -0.105 1.048 1.106
H -0.035 0.881 2.863
H 2.217 0.904 2.459
H 1.991 -0.857 2.533
Mn 2.729 2.138 -2.283

25
Properties=species:S:1:pos:R:3 method="wB97M-V/def2-TZVPD" homo_energy_ev=-3.58 orbital_gap_ev=6.0 charge=-1
C -0.210 -0.721 1.046
C -0.771 0.401 2.142
Cl -0.361 -0.324 3.837
C 0.104 1.824 2.061
Cl -0.453 2.803 3.580
N 1.562 1.405 2.145
P 2.632 2.772 2.550
S 3.017 2.920 4.490
H -1.174 -1.204 0.553
H 0.380 -1.560 1.621
H 0.471 -0.227 0.231
H -1.921 0.569 1.999
H -0.155 2.440 1.074
H 2.170 4.050 2.070
H 3.924 2.477 1.917
C -0.011 -1.384 -3.975
C -0.811 -1.343 -2.700
O -0.587 -0.499 -1.834
C -1.894 -2.373 -2.527
H 0.735 -0.583 -3.962
H 0.508 -2.343 -4.057
H -0.671 -1.234 -4.833
H -1.459 -3.376 -2.545
H -2.638 -2.267 -3.320
H -2.387 -2.222 -1.561

22
Properties=species:S:1:pos:R:3 method="wB97M-V/def2-TZVPD" smiles="CO/C(=C/Cl)[Si](C)(C)C" homo_energy_ev=-9.29 orbital_gap_ev=10.0 charge=0 e_above_lowest_kcal_mol=28.0
C -0.796 -3.091 -0.473
O -0.227 -1.963 0.185
C -0.839 -0.379 0.022
C -2.137 -0.356 -0.244
Cl -2.949 1.110 -0.235
Si 0.552 0.848 0.048
C 2.107 -0.192 0.283
C 0.476 2.208 -1.307
C 0.342 1.754 1.731
H -0.095 -4.027 -0.280
H -0.843 -2.970 -1.604
H -1.854 -3.434 -0.131
H -2.774 -1.225 -0.233
H 2.089 -0.828 1.224
H 1.911 -0.958 -0.419
H 3.064 0.217 0.215
H -0.590 2.302 -1.410
H 0.901 3.148 -1.245
H 0.916 1.848 -2.230
H 1.137 2.352 2.060
H -0.443 2.557 1.592
H 0.051 1.080 2.450

23
Properties=species:S:1:pos:R:3 method="wB97M-V/def2-TZVPD" multiplicity=3 s2=2.01 homo_energy_ev="-3.69 / -8.57" orbital_gap_ev="4.4 / 8.0" charge=0 e_above_lowest_kcal_mol=52.4
C 1.215 2.037 1.348
O 1.778 0.748 1.200
C 1.251 -0.244 2.057
C -0.091 -0.763 1.590
O -0.115 -0.781 0.176
C -1.120 -1.524 -0.489
C -1.532 -0.877 -1.795
O -1.233 0.477 -1.960
-- stop --

H 2.217 0.904 2.459
H 1.991 -0.857 2.533
Mn 2.729 2.138 -2.283

25
Properties=species:S:1:pos:R:3 method="wB97M-V/def2-TZVPD" homo_energy_ev=-3.58 orbital_gap_ev=6.0 charge=-1
C -0.210 -0.721 1.046
C -0.771 0.401 2.142
Cl -0.361 -0.324 3.837
C 0.104 1.824 2.061
Cl -0.453 2.803 3.580
N 1.562 1.405 2.145
P 2.632 2.772 2.550
S 3.017 2.920 4.490
H -1.174 -1.204 0.553
H 0.380 -1.560 1.621
H 0.471 -0.227 0.231
H -1.921 0.569 1.999
H -0.155 2.440 1.074
H 2.170 4.050 2.070
H 3.924 2.477 1.917
C -0.011 -1.384 -3.975
C -0.811 -1.343 -2.700
O -0.587 -0.499 -1.834
C -1.894 -2.373 -2.527
H 0.735 -0.583 -3.962
H 0.508 -2.343 -4.057
H -0.671 -1.234 -4.833
H -1.459 -3.376 -2.545
H -2.638 -2.267 -3.320
H -2.387 -2.222 -1.561

22
Properties=species:S:1:pos:R:3 method="wB97M-V/def2-TZVPD" smiles="CO/C(=C/Cl)[Si](C)(C)C" homo_energy_ev=-9.29 orbital_gap_ev=10.0 charge=0 e_above_lowest_kcal_mol=28.0
C -0.796 -3.091 -0.473
O -0.227 -1.963 0.185
C -0.839 -0.379 0.022
C -2.137 -0.356 -0.244
Cl -2.949 1.110 -0.235